Summit 2017
What an amazing time at the summit,so good to meet so many wonderful people. Thank youBCNA for inviting me, so lovely to finally meet cossete. Big hugs to my online friends who I met, miss you guys already. What fun,inspiration and pure exhilaration it was feel so inspired. Adean xxxxx
Moving forward
The last 2 weeks I've increased my work hours to 8 hours a day 4 days a week. I felt ready to do this but still surprised how much more tired I am with just an extra hour a day. I've needed a nap when I've got home each day. I've also needed to back off my exercise a bit again. Seems to happen like this. Can have a week…
Central Coast Support Lunch
The Central Coast Support Lunch today was a lovely time of sharing experiences, offering encouragement and enjoying great food.Our guest speaker was Jane, who shared information about BCNA's latest projects and resources with us - thanks so much Jane. We all appreciate the wonderful work that BCNA does to support women…
Just diagnosed but cannot even contact a surgeon until 9th January. Stress levels high.
I received by biopsy results on Christmas Eve, stage 2 invasive ductal carcinoma. GREAT! I was given a referral which was marked urgent and sent to the surgeon and told to call them on 28th December. That was a wonderful Christmas period, NOT. But once I thought I could get the ball rolling I felt a bit better. I rang to…
I just wanted to share my thankfulness with you and offer a word of encouragement. Last week was my 2 years "remission" mark for which I am very thankful. In that time I've had numerous surgeries, including breast reconstruction, chemo and am now on aromatase inhibitors for at least 5 years. It's certainly a road with many…
Run a
Below is a relaxed structure of NaTe3S, with properties calculated at the GGA-PBE level.

Unit cell a=5.455 b=5.455 c=5.455 alpha=90.00 beta=90.00 gamma=90.00
Fractional positions:
1 Te 0.000 0.500 0.000
2 Te 0.000 0.000 0.500
3 Te 0.500 0.000 0.000
4 S 0.500 0.500 0.500
5 Na 0.000 0.000 0.000

Values from the calculation:
DOS(E_F)   7.1 states/eV per cell

---

Run b
Below is a relaxed structure of NaTe3S, with properties calculated at the GGA-PBE level.

Unit cell a=5.352 b=5.352 c=5.352 alpha=90.00 beta=90.00 gamma=90.00
Fractional positions:
1 S 0.000 0.000 0.000
2 Te 0.000 0.000 0.500
3 Te 0.500 0.000 0.000
4 Te 0.000 0.500 0.000
5 Na 0.500 0.500 0.500

Values from the calculation:
DOS(E_F)   3.2 states/eV per cell

---

The winner here is run b, beating the second structure by 857 meV per atom.

---

Run a
Below is a relaxed structure of Na2Ti2S, with properties calculated at the GGA-PBE level.

Unit cell a=6.613 b=6.613 c=5.488 alpha=90.00 beta=90.00 gamma=90.00
Fractional positions:
1 Ti 0.619 0.881 0.500
2 S 0.500 0.500 0.000
3 Na 0.347 0.847 0.000
4 Na 0.153 0.347 0.000
5 Na 0.847 0.653 0.000
6 Na 0.653 0.153 0.000
7 Ti 0.381 0.119 0.500
8 S 0.000 0.000 0.000
9 Ti 0.119 0.619 0.500
10 Ti 0.881 0.381 0.500

Values from the calculation:
DOS(E_F)   6.6 states/eV per cell

---

Run b
Below is a relaxed structure of Na2Ti2S, with properties calculated at the GGA-PBE level.

Unit cell a=3.545 b=3.545 c=9.806 alpha=79.58 beta=79.58 gamma=90.00
Fractional positions:
1 Ti 0.250 0.750 0.500
2 Ti 0.750 0.250 0.500
3 S 0.000 0.000 0.000
4 Na 0.422 0.422 0.156
5 Na 0.578 0.578 0.844

Values from the calculation:
DOS(E_F)   7.2 states/eV per cell

---

The winner here is run b, beating the second structure by 333 meV per atom.

---

Run a
Below is a relaxed structure of NaTi3S, with properties calculated at the GGA-PBE level.

Unit cell a=4.607 b=4.607 c=4.607 alpha=90.00 beta=90.00 gamma=90.00
Fractional positions:
1 Ti 0.500 0.000 0.000
2 Ti 0.000 0.500 0.000
3 Ti 0.000 0.000 0.500
4 Na 0.500 0.500 0.500
5 S 0.000 0.000 0.000

Values from the calculation:
DOS(E_F)   5.2 states/eV per cell

---

Run b
Below is a relaxed structure of NaTi3S, with properties calculated at the GGA-PBE level.

Unit cell a=4.718 b=4.718 c=4.718 alpha=90.00 beta=90.00 gamma=90.00
Fractional positions:
1 Ti 0.000 0.000 0.500
2 S 0.500 0.500 0.500
3 Na 0.000 0.000 0.000
4 Ti 0.500 0.000 0.000
5 Ti 0.000 0.500 0.000

Values from the calculation:
DOS(E_F)   4.9 states/eV per cell

---

The winner here is run a, beating the second structure by 1681 meV per atom.

---

Run a
Below is a relaxed structure of NaTlS, with properties calculated at the GGA-PBE level.

Unit cell a=5.687 b=4.169 c=4.169 alpha=120.00 beta=90.00 gamma=90.00
Fractional positions:
1 Na 0.752 0.667 0.333
2 S 0.984 0.000 0.000
3 Tl 0.264 0.333 0.667

Values from the calculation:
DOS(E_F)   0.0 states/eV per cell

---

Run b
Started swearing!
• Materials data that have nothing to do with the page:
........
Entry 1:
VASP calculation (PBE-GGA) on an optimized crystal structure of Dy2MnCu12Ni3.

abc: 6.3648 6.3648 6.3648
angles: 83.35 83.35 83.35
Last column: magnetic moment on the atom in μB.
Element x y z (fractional)
Mn 0.0000 0.0000 0.0000  3.69
Dy 0.7458 0.7458 0.7458  -0.03
Cu 0.2827 0.7996 0.7996  0.05
Ni 0.5000 0.0000 0.0000  0.08
Cu 0.2004 0.7173 0.2004  0.05
Cu 0.5773 0.5773 0.1474  0.00
Cu 0.8526 0.4227 0.4227  0.00
Ni 0.0000 0.0000 0.5000  0.08
Cu 0.2004 0.2004 0.7173  0.05
Cu 0.5773 0.1474 0.5773  0.00
Cu 0.1474 0.5773 0.5773  0.00
Dy 0.2542 0.2542 0.2542  -0.03
Cu 0.7996 0.2827 0.7996  0.05
Cu 0.4227 0.8526 0.4227  0.00
Cu 0.4227 0.4227 0.8526  0.00
Ni 0.0000 0.5000 0.0000  0.08
Cu 0.7996 0.7996 0.2827  0.05
Cu 0.7173 0.2004 0.2004  0.05

## Properties
- formation energy from the elements (eV per atom) = 0.062
- space group = R-3m (166)

---

Entry 2:
VASP calculation (PBE-GGA) on an optimized crystal structure of Dy2MnCu3Ni12.

abc: 9.1966 9.1966 9.1966
angles: 37.51 37.51 37.51
Last column: magnetic moment on the atom in μB.
Element x y z (fractional)
Cu 0.0000 0.5000 0.0000  0.03
Ni 0.4213 0.4213 0.8124  0.18
Ni 0.1876 0.5787 0.5787  0.18
Ni 0.4213 0.8124 0.4213  0.18
Dy 0.6511 0.6511 0.6511  -0.12
Ni 0.6443 0.0740 0.0740  0.27
Ni 0.9260 0.3557 0.9260  0.27
Ni 0.9260 0.9260 0.3557  0.27
Mn 0.0000 0.0000 0.0000  2.72
Cu 0.0000 0.0000 0.5000  0.03
Ni 0.0740 0.6443 0.0740  0.27
Ni 0.0740 0.0740 0.6443  0.27
Ni 0.5787 0.5787 0.1876  0.18
Ni 0.8124 0.4213 0.4213  0.18
Cu 0.5000 0.0000 0.0000  0.03
Dy 0.3489 0.3489 0.3489  -0.12
Ni 0.3557 0.9260 0.9260  0.27
Ni 0.5787 0.1876 0.5787  0.18

## Properties
- formation energy from the elements (eV per atom) = 0.224
- space group = R-3m (166)

=====

*one*
DFT (PBE-GGA) results for a relaxed BaIn2Pb2 crystal.

Structure (POSCAR):
```
BaIn2Pb2
1.0
6.6328 0.0000 0.0000
2.7317 6.1407 0.0000
2.5272 1.5867 8.2629
Ba In Pb
2 4 4
Cartesian
2.3256 1.7717 1.8956
9.5661 5.9557 6.3673
2.7675 2.4592 5.5062
5.7146 3.3327 6.6559
6.1771 4.3947 1.6070
9.1242 5.2682 2.7567
6.1768 6.3421 8.0140
6.3194 5.6138 4.5244
5.5723 2.1136 3.7385
5.7149 1.3853 0.2489
```

## Properties
Fermi-level density of states (states/eV/cell): 4.54
Total moment (Bohr magnetons per cell): 0.0
Symmetry: P-1 (2)

*two*
DFT (PBE-GGA) results for a relaxed BaIn2Pb2 crystal.

Structure (POSCAR):
```
BaIn2Pb2
1.0
9.2458 0.0000 0.0000
0.0000 9.2458 0.0000
0.0000 0.0000 3.8358
Ba In Pb
2 4 4
Cartesian
0.0000 0.0000 0.0000
4.6229 4.6229 0.0000
1.4639 3.1590 1.9179
3.1590 7.7819 1.9179
6.0868 1.4639 1.9179
7.7819 6.0868 1.9179
1.2127 5.8356 0.0000
3.4102 1.2127 0.0000
5.8356 8.0331 0.0000
8.0331 3.4102 0.0000
```

## Properties
Fermi-level density of states (states/eV/cell): 5.61
Total moment (Bohr magnetons per cell): 0.0
Symmetry: P4/mbm (127)

*three*
DFT (PBE-GGA) results for a relaxed BaIn2Pb2 crystal.

Structure (POSCAR):
```
BaIn2Pb2
1.0
9.1124 0.0000 0.0000
0.0000 9.1124 0.0000
0.0000 0.0000 3.9276
Ba In Pb
2 4 4
Cartesian
........
• The page goes on:
Hi to all you amazingly lovely ladies! Was reluctant to share my story but feel I need to even if it is just to rant for some relief! I was diagnosed 2nd Dec with Invasive Ductal Carcinoma grade 2 following a routine mammogram. What a whirlwind! I thought the Dr was talking to 'someone else'..I have had so many emotions…
since being diagnosed with DCIS the rlationship with my partner has taken a turn for the worst. I am 61 and we have been living together for 2 years and dating 2 years peior to that. When we met our life was wonderful, full of fun and lots of intinacy and sex. Now it is dull and lifeless with both of us looking at perhaps…
Mastectomy bra and prosthesis issues
Hi all, its been 2 1/2 years since my left sided mastectomy and I am doing well. I do have a problem with mastectomy bras and prosthesis though. Even with great fitters and rebates, I have spent hundreds of dollars trying to find properly shaped prosthesis and comfortable mastectomy bras. My bras constantly twist and I end…
New Diagnosis
Hi Everyone, Just wanted to say hello. I have been diagnosed this week with early stage breast cancer - invasive lobular carcinoma. It's been a scary week going from a slightly inverted nipple to rushed tests here and there to having cancer. Going in for surgery for removal on Monday and then will be looking at radiation…
My mum- 46 yr old, grade 3 IDC- Lumpectomy surgery today
Hi Everyone, I'm 27 and my mum (46 years) has recently been diagnosed with a 14mm (pre surgery) grade 3 IDC and is about to have her lumpectomy and sentinel node biopsy today. We wont know what stage and hormone status she is until the 29th. To give a bit of a background, her nanna and mum have both had breast cancer, with…
Just diagnosed stage 1 - feeling scared
**Next to the text, the page also holds materials data:**
Below is a relaxed structure of ZrSc4Al, with properties calculated at the PBE level.

abc: 4.4075 7.2640 8.4874
angles: 31.15 74.95 72.34
Fractional coordinates of all 6 atoms:
1 Zr 0.0000 0.0000 0.0000
2 Sc 0.6617 0.6765 0.0001
3 Sc 0.3383 0.3235 0.9999
4 Sc 0.1561 0.1876 0.5002
5 Sc 0.8439 0.8124 0.4998
6 Al 0.5000 0.5000 0.5000

Properties
crystal system: orthorhombic
energy above the most stable polymorph in this dataset: 0.000 eV per atom
energy of formation: -0.148 eV per atom
N(E_F): 8.6 states/eV/cell
calculated total energy: -0.4717 Ry/atom

---

Below is a relaxed structure of Rb2VRe, with properties calculated at the PBE level.

abc: 5.8916 5.8916 5.8916
angles: 60.00 60.00 60.00
Fractional coordinates of all 4 atoms:
1 Re 0.5000 0.5000 0.5000
2 Rb 0.2500 0.2500 0.2500
3 Rb 0.7500 0.7500 0.7500
4 V 0.0000 0.0000 0.0000

Properties
crystal system: cubic
energy above the most stable polymorph in this dataset: 0.868 eV per atom
energy of formation: 2.416 eV per atom
N(E_F): 9.3 states/eV/cell
calculated total energy: -0.2543 Ry/atom
Hi all Three weeks ago I was in the shower and noticed a lump. I'm not a lumpy breast person so I realised straight away. It was tender also. So I booked a mammogram through breast screen and saw my Dr. a few issues in my personal life made me forget a little about it and then breast screen got hold of me. They called me…